Guest Post by Jennifer Scott How to Keep Tensions Low and Focus on the Fun ![]() We love the idea of spending time with those closest to us during the holidays, but a family can also be a source of high tension, especially for someone suffering from anxiety. Recounting old memories, troublesome debates regarding politics, and burnt food can all lead to high stress during a time when everyone should be focusing on the good in their lives. Regardless of what happens at your next family meeting, you can maintain a sense of calm in the midst of chaos by keeping these happy-inducing tips in mind. It’s Ok According to Popular Science, most people feel some form of stress, when it comes to their family. Despite what causes that tension, these types of feelings are typical. You are not alone, nor can you control everything. Stress is bound to arise when someone faces specific pressures and cannot live up to particular standards. However, you can defy these strains by just being you. Try talking to someone, such as a friend or therapist, who can help put your situation into perspective. The tension that you experience is likely not about you at all. Revisit triggered childhood memories, pinpoint why you feel hurt and be gentle on yourself. Though you may not garner support from family, at least you’ll get better at handling the stress that comes from familial relations. Have a Plan We all have that annoying or toxic family member who likes to push our buttons at every opportunity. In this case, it’s best to shield ourselves from any potential negativity by thinking about how we will correspond to difficult questions, how we will return negative feedback, and ways to cope if things go awry. Having a strategy is especially helpful if you’re a recovering addict who may receive a condescending retort upon mentioning that you are no longer drinking. Most importantly, you don’t have to explain why you choose not to drink because your personal life is your concern. However, if someone is persistently taunting you for a drink, knowing that you are in recovery, try responding with a simple, “No, thank you” or “I’m no longer drinking.” You don’t have to put up with peer pressure, and staying confident in your response is critical. Assess Your Emotions Thinking before you speak can cover a multitude of sins. However, when we allow our emotions to take hold, what we say can have significant consequences, according to No Bullying. We all go through situations that can sometimes get the best of us, but don’t believe what you feel because our emotions are fickle. This doesn’t mean that what you’re facing is invalid, but sometimes things aren’t what they seem. Perhaps your sibling responds in a way that seems persnickety, or your mom comments that you’re looking a little worse for wear lately. In fact, they may be just expressing concern for you because they love you. Maybe you have been a bit stressed recently, and it’s beginning to show up in your appearance, so it’s best to take a step back and evaluate your feelings. Just Have Fun As cliche´ as it seems, time heals all wounds. Though old hurts may linger in small ways, if you let your feelings run their course, you usually do feel better over time, especially if they aren’t genuinely rooted memories. Any pent-up emotions that you experience can quickly be quelled by merely letting them go. While an itinerary is exceptional, relinquishing expectations is far better. Everyone may not have the same plan as you, as an essential quality of attending family functions is to be together and enjoy each other’s company. Additionally, scheduling some “me time,” is especially helpful when things get a bit hectic. Peace, love, and happiness are what makes life worth living. In the spirit of fun, commune in a way that leaves you feeling revived and connected, and you’ll see just how beautiful family is, indeed.
"A lob in tennis (also called Great Horse, in Italian Cavallone) is hitting the ball high and deep into the opponent's court. It can be used as an offensive or defensive weapon depending on the situation." -Wikipedia A master of my emotions and expert on mental health in general, I consider it my duty to challenge myself. I encourage my clients to do this so I feel it is only fair to reciprocate in kind, however private my trials may be. Believing that growth is guaranteed through strife, I push myself in many ways. One of them is tennis.
_Data records, as found in the file_
Below is a relaxed structure of VCr3Rh12, with properties calculated at the PBE level.

Unit cell a=3.8067 b=3.8067 c=15.1867 alpha=90.00 beta=90.00 gamma=90.00
With the nearest neighbours (Å) after each atom.
Space group P4/mmm (No. 123)
Asymmetric unit:
V 0.0000 0.0000 0.0000 [1 per cell]  12 Rh 2.68-2.69
Cr 0.0000 0.0000 0.2519 [2 per cell]  12 Rh 2.66-2.71
Cr 0.0000 0.0000 0.5000 [1 per cell]  12 Rh 2.69
Rh 0.0000 0.5000 0.1247 [4 per cell]  8 Rh 2.68-2.69, 2 V 2.68, 2 Cr 2.71
Rh 0.0000 0.5000 0.3746 [4 per cell]  4 Cr 2.66-2.69, 8 Rh 2.69
Rh 0.5000 0.5000 0.0000 [1 per cell]  8 Rh 2.68, 4 V 2.69
Rh 0.5000 0.5000 0.2498 [2 per cell]  8 Rh 2.69, 4 Cr 2.69
Rh 0.5000 0.5000 0.5000 [1 per cell]  4 Cr 2.69, 8 Rh 2.69

Summary:
Size of the total moment = 3.850 μB/f.u.
V = 220 Å³/cell
E_tot = -8.074 eV per atom

* * * * *

No. 1
A plane-wave DFT calculation with PBE was carried out for crystalline Er5AlIn3 at its relaxed geometry.

abc: 9.1497 9.1497 6.5378
angles: 90.00 90.00 120.00
Space group P6_3/mcm (No. 193)
Unique sites:
Er 0.0000 0.2790 0.2500
Er 0.3333 0.6667 0.0000
Al 0.0000 0.0000 0.0000
In 0.0000 0.3757 0.7500

- Fermi-level density of states: 6.60 states/eV/f.u.

***

No. 2
A plane-wave DFT calculation with PBE was carried out for crystalline CaLaSc2 at its relaxed geometry.

abc: 3.987 5.531 5.592
angles: 90.00 90.00 90.00
Space group Pmmm (No. 47)
Unique sites:
Ca 0.000 0.000 0.000
La 0.500 0.000 0.500
Sc 0.000 0.500 0.500
Sc 0.500 0.500 0.000

- Fermi-level density of states: 7.82 states/eV/f.u.
- Polymorph energy (0 for the lowest one): 109 meV per atom

***

Calculated uncorrected energy, -4.269; -4.678 eV per atom (same order as the records).
A professional masseuse years ago, my mother once traded massage with a woman who taught tennis. When I was eleven, this woman taught me and I loved it. I never played competitive sports nor have I ever considered myself a competitive person. I was always last to be picked for any game in gym class. Okay, second to last. In the fifth grade, Angie, a developmentally delayed girl with bottle cap glasses and a drooling problem beat me for dead last. Her legs splayed behind her awkwardly when she ran. I know this because I studied her at great length while running behind and remember the determination and strain it cost me to beat her. Though she acted like she did not care, my heart ached for us both when captains were picking teams. I always hated the whole thing. Hence, the idea of purposefully playing a sport in my free time repulsed me and I have since considered myself fundamentally different from those sporty types. When I was eleven, tennis with Ms. Wetzle challenged this concept over one summer and as I see it now, she changed my life. To be clear, I learned tennis from Ms. Wetzle when I was eleven and only played in lessons over one summer. Then, I took beginning tennis in college at twenty-six. I have enjoyed hitting with willing friends and a few boyfriends that were way sportier than me. In recent years, I joined a racket club on two separate occasions to distract myself with social exercise from the pain of separation from those boyfriends. At this club, joining the United States Tennis Association is a thing. It is hard to play without being asked to compete and promised that it is fun. The following is an account of some of my experience since joining the USTA. * * * She must have been half my age. I saw her once practicing with her coach who might also be her dad. They were on the court where I would be competing that day. She had her hair piled on the top of her head in a carefree bun, and wore not the preppy, tight tennis attire but thin, baggy warm up pants. The elastic cinched around her calves unevenly like a thug made her look confident, if not better, at least younger and certainly cooler than me. She had earbuds in so I asked the man feeding her balls if he was warming her up for USTA. He said he was not and asked if I had a match there, if I needed the court. I was nervous and he was friendly. I replied, “Yes, but my opponent isn’t here yet so I’ll just watch till she arrives, if that’s okay? I’m just glad I’m not playing her.” I pointed to his protégé and she removed an earbud, looked curious, then smiled silently. That was two months ago. Despite what I remembered about her, when she arrived to play me today I was not overly concerned. I won yesterday against I woman I felt could be my double. We both played hard and scored great, long points. It was hot and still through the late afternoon. Agony. Our match lasted better than 2 hours and if she had not shared her granola bar, I might have needed an ambulance. I got her in a ten-point tie break. I was painfully nervous throughout the match. Black spots dotted my vision. I could not get to the top of my breath. Early on I decided to just hang my mouth open in lieu of trying to calm myself with even breaths through my nose. My legs were unreliable. Usually solid, they shook like jelly and when I tried to sip from a paper cone, I needed two hands. At home, I couldn’t decide to shower or vomit so I planned to vomit in the shower. If I had, that would have been a first. I felt sick until around eleven then, refreshed and pleased with myself for winning, I slept hard for semi-finals today. When I signed up for the Santa Fe Open I did not realize I would be playing more than once. Truth be told, I saw that money could be won and impulsively registered not understanding that only higher levels win money. I also thought that when I read the email a week ago, “the Santa Fe Open is just around the corner!”, the corner would be much further away. So, winning yesterday and surviving my nerves meant I was already a champion. At 9:30 this morning I felt mostly calm. I repeated to myself: I feel good, this is good, this is fun, fun, fun, fun, like a mantra, hoping my demon nerves would not return. Fun. Fun. Fun. Fun. Fun. We warmed up for five minutes as we were told by the officials, then started to play. It started in the first game. With a harmless little pop her ball sprung into the clouds and I felt like a clown. Running forward, pedaling back, skipping to the side, turning around, bolting to the back but, I hit it. Backatchya! Ha! Ha! Then again, so effortless, she sent it into the clouds, and it went on like this for two sets. I know, I’ll just smash it out of the air like I’ve seen on tv. I remember that my ex-boyfriend would lob the ball at me like this and chuckle. I thought it was cheap, lazy and arrogant. Over and over, pop, into the sky. I would turn my back and refuse to play. If I would have gotten over myself then and tried a little more with him I might know better how to handle the lob princess but I did not. Consequently, I am not very good at smashing it out of the air like I have seen on tv and I could not make the ball into the court. So, I decided to get it right off the bounce, keep your eye on it, I told myself. I managed that strategy a lot but she always got it back into the clouds. Is this allowed? I wondered. How does she sleep at night? I thought, truly puzzled. I guess she wants to win like this. I could not believe it. Early on I shouted to her across the court, “I feel like we’re playing in a circus!” and regretted it. It sounded catty, and that is not me. So, I tried to soften my comment by using French, “it’s like Cirque du tennis!” But she just smiled calmly and I lied about how much fun I was having. By the end of the match I was growling loudly with every return and screaming how frustrated I was. She won both sets. Then she won the tournament in our division, grade level, or whatever you call it. Now I am writing about it to make the whole thing feel like a useful growth experience (which is psychobabble for a shitty fucking time) and consider my expertise in emotional regulation. Also, I plan to practice lobbing because that is how one wins at my level, obviously. One pro promised she would hit a wall with her strategy. I would like to be that wall. One thing is certain. I can no longer convince myself or anyone else that I am just not a competitive person. All I can think about is Rocky. Please drive carefully because that will be me, earbuds in, hood hanging low, jogging down 285 to eye of the tiger. Move over princess, the lob queen is coming to town. ![]() I love walking into the wind. I have an image of a man in a suit leaning forward mid step, pulling an umbrella that has turned inside out. He pushes forward, holding onto his hat. I think about that image a lot when it’s windy and consider perseverance. When I lived on the Big Island we stayed in a tent on my boyfriend’s parents’ undeveloped property, in Puako. There was a shed with a weather station and little vane that would spin violently. At night, I thought for sure the ocean was coming right over us and going to sweep us away. When the weather station said the wind was 30mph I felt I could lean my whole body into it. With all my might, I would push forward, like the man with the umbrella. That was me outside moments ago. If I had had my phone I would have looked up the weather to see how hard it was blowing but I left it home on purpose. In the beginning, I was sure there was no way this cell phone thing would catch on. I made fun of my sister when she got one. She’s ten years older than me and we didn’t grow up together. She is my mother’s ex-boyfriend’s daughter. We lived with her and her dad when I was one for about a year. I was a teenager when the super cool people started getting phones. “That’s so stupid!” I snorted. “Who would ever want to carry a phone around?” I rolled my eyes and silenced my beeper, successfully ignoring my mother’s second 911 message. For years I shook my head at all the idiots and held out. I had no idea what I was in for. Then in my early thirties, I got my first smart phone. I felt like I won. I could google any answer I needed and my dad couldn’t make fun of me anymore for not knowing anything. Technology makes me more knowledgeable and feel smarter, no question. My concerns lie elsewhere. I worked with a second grader who said when he grew up he was going to call the owner of Facebook and tell him Facebook ruined his life. He said his mom caught his dad talking to other ladies on Facebook and now his dad is gone. A fourth grader had a similar story and now it is hard to think of one broken family I learned of through work where social media had nothing to do with it. When I worked with teenagers seven years ago, cyber bullying was the norm. I knew girls to literally tear each other’s hair out and open their skin with razor blades over who called who a slut on social media. Sure, fighting and cutting was happening long before the internet but now hateful sentiments can be omniscient for those who have no interest in putting down their phones. I worry for the state of our relationships as humans when I see grade schoolers smuggling their smart phones into school. On the other hand, many adults I meet love the convenience of sharing their lives with everyone they know. Still, nobody wants to be judged harshly, or feel like an outsider. We all crave quality connection. So, like ads in magazines promising beauty and joy, many market themselves online boasting adventures and proving they have friends. I wonder if older adults may have an advantage because they have pre-internet experience of forming close relationships. I was watching a tribute to the Queen on Netflix. Generations of the royal family have taken videos over the years playing outdoors. Now, one could question what their connection would be like if the camera wasn’t rolling but the point was this: Playing outdoors together is good for us, a tried and true way to relate to each other. With all the advancements helping us stay in touch, our connection to ourselves and others has suffered. I think it is good to leave the phone at home, to resist the force of our changing climate and push forward toward more meaningful connections and experience. ![]() It is difficult for me to pick one gender or age group that I feel most comfortable working with in the Therapist role. For much of my career I have worked with at-risk youth. I developed a curriculum to increase literacy and improve communication for 7-9 year old girls that came out of my work as a camp counselor for Girls Inc. in Santa Fe and contributed to my Bachelor's Degree in Counseling Psychology from Wells College in Aurora, NY ('05). When I attended Wells College it was single sex, all female. This was an important choice for me as I feel humans behave differently in gender-exclusive environments. I was focused on my education and did not want to be distracted by the competitive dynamic inevitable in co-ed environments. When I worked as a Resident Assistant at the youth shelter in Santa Fe. My own tumultuous adolescence gives me an intimate understanding of teen angst. I feel particularly effective at quickly establishing trust and fostering positive change in the lives of the adolescents I work with. Caring for my grandfather in the last part of his life, I completed my Master's Degree in Counseling Psychology at Southwestern College ('08). Southwestern College specializes in Transformational Psychology, integrating spiritual awareness with a holistic approach to mind/body health. I have found the training I received at Southwestern to be extremely relevant to the Clients I serve at Eldorado Behavioral Health. I think most people are looking for a sense of wholeness and integration, whether they know it or not. As a Multi-Systemic Therapist for Teambuilders Counseling Services (2010-2013) I had my first opportunity to work with entire families and their communities. The intensive (multiple hours per week), home-based yet wide-reaching (extending out, increasing community involvement therefore increasing resources) model of therapy was invaluable to my education as a Therapist. Through this work I learned how each part of a system effects every other. Change ripples through the individual, the family and changes the community at large. This was extremely informative, experiential and rewarding work. In 2013, my work with at-risk youth merged with my love of horses when I began co-facilitating Equine Assisted Therapy at Ranch Dubois in Corrales, NM. At Ranch Dubois I helped clients to identify feelings through body awareness, taught emotional regulation, and helped clients identify and explore personal boundaries. The horses are equal partners in the “therapy team” including a horse specialist, and a therapist. In Equine-Assisted Therapy, The horses’ body language, behavior, and expressions mirror what the client is feeling. Equine assisted work is great for those clients who have trouble using their voices, have histories of traumatic stress, or behavioral issues including verbal and physical aggression. These diverse experiences have taught me the complexity of human nature and relations. On a personal level essentially, connecting with others through empathy and shared suffering has brought me much healing and insight. Maintaining healthy boundaries and caring for myself have been, and are currently, predominant themes. A renewed and rewarding relationship with my mother, my work in counseling youth, adults (in all stages of life), and whole families has given me a valuable, unique perspective into the human experience that I enjoy sharing with my Clients. |
Someone pasted data records at this point =
~~~
# K2BaCrO | Alexandria | PBE+U | relaxed
# - DFT total energy (eV per cell) = -13.60
data_K2BaCrO
_symmetry_space_group_name_H-M 'P 4/m m m'
_symmetry_Int_Tables_number 123
_symmetry_space_group_name_Hall '-P 4 2'
_cell_length_a 5.9558
_cell_length_b 5.9558
_cell_length_c 6.7674
_cell_angle_alpha 90.00
_cell_angle_beta 90.00
_cell_angle_gamma 90.00
loop_
_atom_site_label
_atom_site_type_symbol
_atom_site_fract_x
_atom_site_fract_y
_atom_site_fract_z
_atom_site_occupancy
K1 K 0.0000 0.5000 0.0000 1
Ba1 Ba 0.0000 0.0000 0.5000 1
Cr1 Cr 0.0000 0.0000 0.0000 1
O1 O 0.5000 0.5000 0.5000 1

----------

[1]
Density functional theory data (PBE) for a geometry-optimized Sb2POs structure.

Structure (extended XYZ):
```
8
Lattice="6.2831 0.0000 0.0000 0.0000 7.5813 0.0000 -0.8357 0.0000 3.2407" Properties=species:S:1:pos:R:3 pbc="T T T"
Sb 1.5708 1.8953 0.0000
Sb 1.5708 5.6860 0.0000
Sb 4.7123 1.8953 0.0000
Sb 4.7123 5.6860 0.0000
P -0.4178 0.0000 1.6203
P 2.7237 3.7906 1.6203
Os -0.4178 3.7906 1.6203
Os 2.7237 0.0000 1.6203
```

- E_form (uncorrected): 66.3 kJ per mole of atoms
- DOS(E_F): 4.04 states/eV/cell

[2]
Density functional theory data (PBE) for a geometry-optimized PrNd3Dy2As6 structure.

Structure (extended XYZ):
```
12
Lattice="3.6627 -6.3431 0.0000 3.6627 6.3431 0.0000 -2.4405 0.0000 6.9057" Properties=species:S:1:pos:R:3 pbc="T T T"
Pr 0.0000 0.0000 0.0000
Nd 2.4424 4.2452 3.4529
Nd 2.4424 0.0000 3.4529
Nd 2.4424 -4.2452 3.4529
Dy 3.6627 2.1195 0.0000
Dy 3.6627 -2.1195 0.0000
As 1.2436 2.1527 1.6906
As 0.0458 0.0000 5.2227
As 1.2436 -2.1527 1.6906
As 3.6412 2.1527 5.2151
As 4.8391 0.0000 1.6831
As 3.6412 -2.1527 5.2151
```

- ΔE_f: -1.509 eV/atom
- DOS(E_F): 1.63 states/eV/cell

[3]
Density functional theory data (PBE) for a geometry-optimized Hf2CoAgS structure.

Structure (extended XYZ):
```
5
Lattice="4.7890 0.0000 0.0000 0.0000 4.7890 0.0000 0.0000 0.0000 4.0575" Properties=species:S:1:pos:R:3 pbc="T T T"
Hf 0.0000 2.3945 0.0000
Hf 2.3945 0.0000 0.0000
Co 0.0000 0.0000 2.0288
Ag 2.3945 2.3945 2.0288
S 0.0000 0.0000 0.0000
```

- E_form (uncorrected): -17.9 kJ per mole of atoms
- DOS(E_F): 4.42 states/eV/cell

[4]
Density functional theory data (PBE) for a geometry-optimized GdErAlPt structure.

Structure (extended XYZ):
```
16
Lattice="7.1141 0.0000 0.0000 0.0000 7.1141 0.0000 0.0000 0.0000 7.1141" Properties=species:S:1:pos:R:3 pbc="T T T"
Gd 0.0000 0.0000 0.0000
Gd 0.0000 3.5571 3.5571
Gd 3.5571 0.0000 3.5571
Gd 3.5571 3.5571 0.0000
Er 0.0000 0.0000 3.5571
Er 0.0000 3.5571 0.0000
Er 3.5571 0.0000 0.0000
Er 3.5571 3.5571 3.5571
Al 1.7785 1.7785 1.7785
Al 1.7785 5.3356 5.3356
Al 5.3356 1.7785 5.3356
Al 5.3356 5.3356 1.7785
Pt 1.7785 1.7785 5.3356
Pt 1.7785 5.3356 1.7785
Pt 5.3356 1.7785 1.7785
Pt 5.3356 5.3356 5.3356
```

- ΔE_f: -0.731 eV/atom
- DOS(E_F): 10.16 states/eV/cell

[5]
Density functional theory data (PBE) for a geometry-optimized Pr4NdDy2Tm2 structure.

Structure (extended XYZ):
```
9
~~~
Meira PetersenMeira Petersen is a Clinical Mental Health Counselor (LPCC). Meira received her Master's degree in Counseling Psychology from Southwestern College in Santa Fe, NM. Archives
Inserted here: crystal structures:
/*
(1)
Below is a relaxed MnPtPb2 crystal, with properties calculated at the PBE level.

a b c (Å): 3.8449 4.2448 5.7237
angles (deg): 90.00 109.56 90.00
Space group Pm (No. 6)
One atom of each set of equivalent atoms:
Mn (0.0000, 0.0000, 0.0000) [1 per cell]
Pt (0.8541, 0.5000, 0.7105) [1 per cell]
Pb (0.2734, 0.0000, 0.5498) [1 per cell]
Pb (0.5728, 0.5000, 0.1440) [1 per cell]

Output
Fermi-level density of states   2.6 states/eV/cell
Energy relative to the lowest polymorph listed for this composition   87 meV/atom
Calculated formation energy   0.18 eV per formula unit

=====

(2)
Below is a relaxed MnPt2Pb crystal, with properties calculated at the PBE level.

a b c (Å): 3.5881 3.5881 5.7228
angles (deg): 90.00 90.00 90.00
Space group P4mm (No. 99)
One atom of each set of equivalent atoms:
Mn (0.0000, 0.0000, 0.0000) [1 per cell]
Pt (0.0000, 0.0000, 0.5457) [1 per cell]
Pt (0.5000, 0.5000, 0.8346) [1 per cell]
Pb (0.5000, 0.5000, 0.3249) [1 per cell]

Output
Fermi-level density of states   2.6 states/eV/cell
Calculated formation energy   -0.12 eV per formula unit

=====

(3)
Below is a relaxed MnPt4Pb crystal, with properties calculated at the PBE level.

a b c (Å): 7.6110 7.6110 7.6110
angles (deg): 90.00 90.00 90.00
Space group F-43m (No. 216)
One atom of each set of equivalent atoms:
Mn (0.0000, 0.0000, 0.0000) [4 per cell]
Pt (0.1254, 0.1254, 0.3746) [16 per cell]
Pb (0.2500, 0.2500, 0.7500) [4 per cell]

Output
Fermi-level density of states   23.3 states/eV/cell
Calculated formation energy   -0.49 eV per formula unit

=====

(4)
Below is a relaxed MnPtPb2 crystal, with properties calculated at the PBE level.

a b c (Å): 7.8843 7.8843 6.1210
angles (deg): 90.00 90.00 90.00
Space group I-42d (No. 122)
One atom of each set of equivalent atoms:
Mn (0.0000, 0.0000, 0.0000) [4 per cell]
Pt (0.0000, 0.0000, 0.5000) [4 per cell]
Pb (0.2299, 0.2500, 0.6250) [8 per cell]

Output
Fermi-level density of states   9.1 states/eV/cell
Energy relative to the lowest polymorph listed for this composition   352 meV/atom
Calculated formation energy   1.24 eV per formula unit

=====

(5)
Below is a relaxed MnPtPb2 crystal, with properties calculated at the PBE level.

a b c (Å): 7.0714 7.0714 7.0714
angles (deg): 90.00 90.00 90.00
Space group F-43m (No. 216)
One atom of each set of equivalent atoms:
Mn (0.0000, 0.0000, 0.0000) [4 per cell]
Pt (0.2500, 0.2500, 0.2500) [4 per cell]
Pb (0.0000, 0.0000, 0.5000) [4 per cell]
Pb (0.2500, 0.2500, 0.7500) [4 per cell]

Output
Fermi-level density of states   12.5 states/eV/cell
Energy relative to the lowest polymorph listed for this composition   360 meV/atom
Calculated formation energy   1.27 eV per formula unit

=====

(6)
Below is a relaxed Mn4PtPb crystal, with properties calculated at the PBE level.

a b c (Å): 7.0473 7.0473 7.0473
angles (deg): 90.00 90.00 90.00
Space group F-43m (No. 216)
One atom of each set of equivalent atoms:
Mn (0.1250, 0.1250, 0.1250) [16 per cell]
Pt (0.0000, 0.0000, 0.5000) [4 per cell]
*/
November 2017